[Input]
'''
# LiMnVCd2

A geometry-optimized LiMnVCd2 structure (PBE-GGA, Alexandria).

Computed properties:
Density ... 4.333 g/cm3
Electronic total energy ... -0.1218 hartree per atom
M_tot ... 0.659 μB per formula unit
Calculated volume ... 129.40 Å³ per cell

Lattice parameters (Å, degrees): 5.2185 4.7517 5.2185 90.00 90.00 90.00
Last column: nearest neighbours and their distance in Å.
Atoms (fractional coordinates):
Cd 0.0000 0.0000 0.5000  2 V 2.61
Cd 0.5000 0.0000 0.0000  2 V 2.61
Li 0.0000 0.5000 0.0000  2 V 2.38
V 0.0000 0.0000 0.0000  2 Li 2.38, 4 Cd 2.61
Mn 0.5000 0.5000 0.5000  8 Cd 3.53, 4 Li 3.69

---

# LiCdMo2

A geometry-optimized LiCdMo2 structure (PBE-GGA, Alexandria).

Computed properties:
Density ... 7.604 g/cm3
Electronic total energy ... -0.2101 hartree per atom
M_tot ... 0.000 μB per formula unit
Calculated volume ... 67.97 Å³ per cell

Lattice parameters (Å, degrees): 5.1840 5.1840 5.1840 142.83 124.89 68.35
Last column: nearest neighbours and their distance in Å.
Atoms (fractional coordinates):
Mo 0.9849 0.9849 0.0000  2 Mo 2.43
Mo 0.7768 0.2768 0.5000  2 Mo 2.43
Li 0.2475 0.7475 0.5000  2 Cd 2.66, 6 Mo 2.79-2.92
Cd 0.4907 0.4907 0.0000  2 Li 2.66, 6 Mo 2.91-2.96

---

Copy entry 1 word for word.
# LiMnVCd2

A geometry-optimized LiMnVCd2 structure (PBE-GGA, Alexandria).

Computed properties:
Density ... 4.333 g/cm3
Electronic total energy ... -0.1218 hartree per atom
M_tot ... 0.659 μB per formula unit
Calculated volume ... 129.40 Å³ per cell

Lattice parameters (Å, degrees): 5.2185 4.7517 5.2185 90.00 90.00 90.00
Last column: nearest neighbours and their distance in Å.
Atoms (fractional coordinates):
Cd 0.0000 0.0000 0.5000  2 V 2.61
Cd 0.5000 0.0000 0.0000  2 V 2.61
Li 0.0000 0.5000 0.0000  2 V 2.38
V 0.0000 0.0000 0.0000  2 Li 2.38, 4 Cd 2.61
Mn 0.5000 0.5000 0.5000  8 Cd 3.53, 4 Li 3.69

---

Copy entry 1 word for word.
# LiMnVCd2

A geometry-optimized LiMnVCd2 structure (PBE-GGA, Alexandria).

Computed properties:
Density ... 4.333 g/cm3
Electronic total energy ... -0.1218 hartree per atom
M_tot ... 0.659 μB per formula unit
Calculated volume ... 129.40 Å³ per cell

Lattice parameters (Å, degrees): 5.2185 4.7517 5.2185 90.00 90.00 90.00
Last column: nearest neighbours and their distance in Å.
Atoms (fractional coordinates):
Cd 0.0000 0.0000 0.5000  2 V 2.61
Cd 0.5000 0.0000 0.0000  2 V 2.61
Li 0.0000 0.5000 0.0000  2 V 2.38
V 0.0000 0.0000 0.0000  2 Li 2.38, 4 Cd 2.61
Mn 0.5000 0.5000 0.5000  8 Cd 3.53, 4 Li 3.69

* * * * *

DFT (PBE) results for a relaxed MnFePCl2 crystal.

Summary:
The offset from the most stable computed form comes out at 109.4 meV per atom. The energy is -4.95 eV/atom. Its spin magnetization is 7.4 μB/f.u. As for the space-group type: No. 123. Its uncorrected formation energy is 392 meV per atom.

Structure (POSCAR):
```
MnFePCl2
1.0
4.555 0.000 0.000
0.000 4.555 0.000
0.000 0.000 5.022
Mn Fe P Cl
1 1 1 2
direct
0.000 0.000 0.000
0.500 0.500 0.500
0.000 0.000 0.500
0.000 0.500 0.000
0.500 0.000 0.000
```

---

DFT (PBE) results for a relaxed BaY crystal.

Summary:
The calculation puts the energy relative to the elements at 0.265 eV/atom. The offset from the most stable computed form comes out at 106.3 meV per atom. The energy is -3.93 eV/atom. Its spin magnetization is 0.0 μB/f.u. As for the space-group type: No. 19.

Structure (POSCAR):
```
BaY
1.0
7.349 0.000 0.000
0.000 7.355 0.000
0.000 0.000 12.569
Ba Y
8 8
direct
0.056 0.075 0.264
0.178 0.193 0.985
0.322 0.807 0.485
0.444 0.925 0.764
0.556 0.425 0.736
0.678 0.307 0.015
0.822 0.693 0.515
0.944 0.575 0.236
0.053 0.550 0.780
0.199 0.305 0.529
0.301 0.695 0.029
0.447 0.450 0.280
0.553 0.950 0.220
0.699 0.195 0.471
0.801 0.805 0.971
0.947 0.050 0.720
```

---

DFT (PBE) results for a relaxed TaH3Se crystal.

Summary:
The offset from the most stable computed form comes out at 872.8 meV per atom. The energy is -3.88 eV/atom. Its spin magnetization is 0.0 μB/f.u. As for the space-group type: No. 221.

Structure (POSCAR):
```
TaH3Se
1.0
'''
[Brief]
It remains to repeat the material above with every line break kept.
[Worked solution]
# LiMnVCd2

A geometry-optimized LiMnVCd2 structure (PBE-GGA, Alexandria).

Computed properties:
Density ... 4.333 g/cm3
Electronic total energy ... -0.1218 hartree per atom
M_tot ... 0.659 μB per formula unit
Calculated volume ... 129.40 Å³ per cell

Lattice parameters (Å, degrees): 5.2185 4.7517 5.2185 90.00 90.00 90.00
Last column: nearest neighbours and their distance in Å.
Atoms (fractional coordinates):
Cd 0.0000 0.0000 0.5000  2 V 2.61
Cd 0.5000 0.0000 0.0000  2 V 2.61
Li 0.0000 0.5000 0.0000  2 V 2.38
V 0.0000 0.0000 0.0000  2 Li 2.38, 4 Cd 2.61
Mn 0.5000 0.5000 0.5000  8 Cd 3.53, 4 Li 3.69

---

# LiCdMo2

A geometry-optimized LiCdMo2 structure (PBE-GGA, Alexandria).

Computed properties:
Density ... 7.604 g/cm3
Electronic total energy ... -0.2101 hartree per atom
M_tot ... 0.000 μB per formula unit
Calculated volume ... 67.97 Å³ per cell

Lattice parameters (Å, degrees): 5.1840 5.1840 5.1840 142.83 124.89 68.35
Last column: nearest neighbours and their distance in Å.
Atoms (fractional coordinates):
Mo 0.9849 0.9849 0.0000  2 Mo 2.43
Mo 0.7768 0.2768 0.5000  2 Mo 2.43
Li 0.2475 0.7475 0.5000  2 Cd 2.66, 6 Mo 2.79-2.92
Cd 0.4907 0.4907 0.0000  2 Li 2.66, 6 Mo 2.91-2.96

---

Copy entry 1 word for word.
# LiMnVCd2

A geometry-optimized LiMnVCd2 structure (PBE-GGA, Alexandria).

Computed properties:
Density ... 4.333 g/cm3
Electronic total energy ... -0.1218 hartree per atom
M_tot ... 0.659 μB per formula unit
Calculated volume ... 129.40 Å³ per cell

Lattice parameters (Å, degrees): 5.2185 4.7517 5.2185 90.00 90.00 90.00
Last column: nearest neighbours and their distance in Å.
Atoms (fractional coordinates):
Cd 0.0000 0.0000 0.5000  2 V 2.61
Cd 0.5000 0.0000 0.0000  2 V 2.61
Li 0.0000 0.5000 0.0000  2 V 2.38
V 0.0000 0.0000 0.0000  2 Li 2.38, 4 Cd 2.61
Mn 0.5000 0.5000 0.5000  8 Cd 3.53, 4 Li 3.69

---

Copy entry 1 word for word.
# LiMnVCd2

A geometry-optimized LiMnVCd2 structure (PBE-GGA, Alexandria).

Computed properties:
Density ... 4.333 g/cm3
Electronic total energy ... -0.1218 hartree per atom
M_tot ... 0.659 μB per formula unit
Calculated volume ... 129.40 Å³ per cell

Lattice parameters (Å, degrees): 5.2185 4.7517 5.2185 90.00 90.00 90.00
Last column: nearest neighbours and their distance in Å.
Atoms (fractional coordinates):
Cd 0.0000 0.0000 0.5000  2 V 2.61
Cd 0.5000 0.0000 0.0000  2 V 2.61
Li 0.0000 0.5000 0.0000  2 V 2.38
V 0.0000 0.0000 0.0000  2 Li 2.38, 4 Cd 2.61
Mn 0.5000 0.5000 0.5000  8 Cd 3.53, 4 Li 3.69

* * * * *

DFT (PBE) results for a relaxed MnFePCl2 crystal.

Summary:
The offset from the most stable computed form comes out at 109.4 meV per atom. The energy is -4.95 eV/atom. Its spin magnetization is 7.4 μB/f.u. As for the space-group type: No. 123. Its uncorrected formation energy is 392 meV per atom.

Structure (POSCAR):
```
MnFePCl2
1.0
4.555 0.000 0.000
0.000 4.555 0.000
0.000 0.000 5.022
Mn Fe P Cl
1 1 1 2
direct
0.000 0.000 0.000
0.500 0.500 0.500
0.000 0.000 0.500
0.000 0.500 0.000
0.500 0.000 0.000
```

---

DFT (PBE) results for a relaxed BaY crystal.

Summary:
The calculation puts the energy relative to the elements at 0.265 eV/atom. The offset from the most stable computed form comes out at 106.3 meV per atom. The energy is -3.93 eV/atom. Its spin magnetization is 0.0 μB/f.u. As for the space-group type: No. 19.

Structure (POSCAR):
```
BaY
1.0
7.349 0.000 0.000
0.000 7.355 0.000
0.000 0.000 12.569
Ba Y
8 8
direct
0.056 0.075 0.264
0.178 0.193 0.985
0.322 0.807 0.485
0.444 0.925 0.764
0.556 0.425 0.736
0.678 0.307 0.015
0.822 0.693 0.515
0.944 0.575 0.236
0.053 0.550 0.780
0.199 0.305 0.529
0.301 0.695 0.029
0.447 0.450 0.280
0.553 0.950 0.220
0.699 0.195 0.471
0.801 0.805 0.971
0.947 0.050 0.720
```

---

DFT (PBE) results for a relaxed TaH3Se crystal.

Summary:
The offset from the most stable computed form comes out at 872.8 meV per atom. The energy is -3.88 eV/atom. Its spin magnetization is 0.0 μB/f.u. As for the space-group type: No. 221.

Structure (POSCAR):
```
TaH3Se
1.0